A teacher takes part in an outreach programme.

An opportunity for staff members and alumni  to further their professional development and support schools.

Meet Imperial's school governors

(Between two parts of the piece: calculated crystals)
~~~
[1]
8
Lattice="3.9029 0.0000 1.1521 1.7814 3.4726 1.1521 -0.4364 -0.2666 8.6652" Properties=species:S:1:pos:R:3 comment="ThAl3Ni4 | Alexandria | PBE | relaxed" spacegroup="R-3m (166)" final_energy_ev_per_atom=-5.816 pbc="T T T"
Ni 4.7535 2.9040 5.4575
Ni 1.9543 1.1939 7.7534
Ni 0.4944 0.3021 5.5120
Ni 3.2937 2.0122 3.2160
Al 1.2091 0.7386 3.0910
Al 4.0388 2.4674 7.8785
Al 2.6240 1.6030 5.4847
Th 0.0000 0.0000 0.0000



[2]
12
Lattice="-5.0226 -2.1168 -1.7066 -0.5898 -3.7428 6.3783 -3.4823 5.7853 3.0728" Properties=species:S:1:pos:R:3 comment="Th4AlNi | Alexandria | PBE | relaxed" spacegroup="P4/mcc (124)" final_energy_ev_per_atom=-6.771 pbc="T T T"
Th -2.3684 3.1280 3.0903
Th -1.7038 -1.0855 6.3607
Th -0.8005 -0.3175 2.7497
Th -3.2717 2.3600 6.7014
Th -5.2680 -0.3946 6.4365
Th -3.8267 0.3204 1.3079
Th -3.4902 -2.5075 3.8249
Th -5.6046 2.4333 3.9196
Al -1.2556 -0.5292 -0.4267
Al -3.7669 -1.5876 -1.2800
Ni -3.2917 0.4921 4.2989
Ni -5.8030 -0.5663 3.4456



[3]
11
Lattice="-4.2639 1.9085 2.4611 -4.8007 -2.1778 -0.9644 -1.0335 -4.0174 6.9891" Properties=species:S:1:pos:R:3 comment="Th2Al5Ni4 | Alexandria | PBE | relaxed" spacegroup="Fmmm (69)" final_energy_ev_per_atom=-5.725 pbc="T T T"
Th -3.9714 0.5844 3.9948
Th -1.3261 -2.6933 5.4554
Al -2.1320 0.9543 1.2305
Al -2.4004 -1.0889 -0.4822
Al -4.5323 -0.1346 0.7483
Al -3.9831 -2.6205 3.6276
Al -6.1151 -1.6662 4.8581
Ni -4.2644 -2.7010 6.0348
Ni -5.8337 -1.5856 2.4509
Ni -2.6513 -1.3071 2.0844
Ni -7.4469 -2.9796 6.4013



[4]
11
Lattice="3.9534 0.0000 0.0000 0.0000 6.9598 0.0000 0.0000 -3.4799 6.0274" Properties=species:S:1:pos:R:3 comment="ThAl6Ni4 | Alexandria | PBE | relaxed" spacegroup="P-6m2 (187)" final_energy_ev_per_atom=-5.421 pbc="T T T"
Th 0.0000 0.0000 0.0000
Al 0.0000 3.4799 0.3989
Al 1.9767 1.3653 4.8065
Al 0.0000 2.0854 2.8142
Al 0.0000 4.8744 2.8142
Al 1.9767 -1.3653 4.8065
Al 1.9767 0.0000 2.4417
Ni 1.9767 3.4799 3.5232
Ni 1.9767 2.1687 1.2521
Ni 1.9767 4.7911 1.2521
Ni 0.0000 0.0000 4.0182



[5]
18
Lattice="3.9398 0.0000 0.0000 -1.9699 6.1599 0.0000 0.0000 0.0000 12.0938" Properties=species:S:1:pos:R:3 comment="ThAl5Ni3 | Alexandria | PBE | relaxed" spacegroup="Cmcm (63)" final_energy_ev_per_atom=-5.358 pbc="T T T"
Th 1.9699 4.1267 9.0704
Th 0.0000 2.0332 3.0235
Al 1.9699 3.6635 5.2845
Al 0.0000 2.4965 11.3314
Al 0.0000 0.0000 6.0469
Al 0.0000 0.0000 0.0000
Al 0.0000 5.4470 1.7939
Al 1.9699 0.7130 10.2999
Al 1.9699 0.7130 7.8408
Al 1.9699 3.6635 0.7624
Al 0.0000 2.4965 6.8093
Al 0.0000 5.4470 4.2530
Ni 0.0000 4.8333 11.5824
Ni 1.9699 4.5969 3.0235
Ni 0.0000 4.8333 6.5583
Ni 1.9699 1.3266 5.5355
Ni 0.0000 1.5630 9.0704
Ni 1.9699 1.3266 0.5114



[6]
18
Lattice="-1.4300 2.5173 -2.9332 6.9382 -2.4282 -5.4664 -7.8573 -4.7050 -0.2072" Properties=species:S:1:pos:R:3 comment="ThAl3Ni2 | Alexandria | PBE | relaxed" spacegroup="P6/mmm (191)" final_energy_ev_per_atom=-5.660 pbc="T T T"
Th -0.7150 1.2586 -1.4666
Th 2.0064 -3.1871 -3.7133
Th -2.9254 -3.9460 -1.9603
Al -1.1745 -2.3079 -4.3034
~~~

Following the launch of the Imperial School Governors’ Network in December 2016, the College has a growing and active group of students, staff members and alumni from all areas of the College, who commit time and competence to support schools.

This is reflected in our HR policy, which enables staff to take time off for public duties such as governor roles.

School governors play a key role in help setting the strategic direction of schools and implementing best practice, in an advisory role, while leaving the day to day management of schools to head teachers and their staff bodies. They are often referred to as the most important volunteer group in education.

Someone pasted calculated crystals at this point
-- begin --
Crystalline Y2ErPu at its relaxed geometry, computed with PBE-GGA.

## Properties
Energy above the lowest structure with this stoichiometry: 171 meV/atom
Crystal system: trigonal
Formation enthalpy at 0 K: 0.268 eV per atom
VASP energy: -7.688 eV per atom

a b c (Å): 3.4458 3.4458 12.3776
angles (deg): 82.00 82.00 60.00
Site moments in Bohr magnetons follow the coordinates.
Sites, in units of the cell vectors:
Y 0.0890 0.0890 0.7331  -0.05
Y 0.9110 0.9110 0.2669  -0.05
Er 0.5000 0.5000 0.5000  0.01
Pu 0.0000 0.0000 0.0000  -5.81

~~~~~

Here is an optimized crystal structure of LiTbIrPb from Alexandria. Energies are from PBE-GGA.

The total DFT energy (no corrections) comes out at -0.1925 hartree per atom.

Unit cell a=4.8176 b=4.8176 c=4.8176 alpha=60.00 beta=60.00 gamma=60.00
Atoms (fractional coordinates):
Tb  0.7500  0.7500  0.7500
Pb  0.2500  0.2500  0.2500
Li  0.0000  0.0000  0.0000
Ir  0.5000  0.5000  0.5000

---

Here is an optimized crystal structure of LiTcIrPb2 from Alexandria. Energies are from PBE-GGA.

The total DFT energy (no corrections) comes out at -0.1766 hartree per atom.

Unit cell a=5.2129 b=4.5651 c=5.2129 alpha=90.00 beta=90.00 gamma=90.00
Atoms (fractional coordinates):
Pb  0.5000  0.0000  0.0000
Pb  0.0000  0.0000  0.5000
Ir  0.0000  0.0000  0.0000
Li  0.0000  0.5000  0.0000
Tc  0.5000  0.5000  0.5000

---

Here is an optimized crystal structure of Li2TcIrPb from Alexandria. Energies are from PBE-GGA.

The total DFT energy (no corrections) comes out at -0.1627 hartree per atom.

Unit cell a=4.5556 b=5.1730 c=4.5556 alpha=90.00 beta=90.00 gamma=90.00
Atoms (fractional coordinates):
Pb  0.0000  0.5000  0.0000
Li  0.0000  0.0000  0.5000
Li  0.5000  0.0000  0.0000
Ir  0.0000  0.0000  0.0000
Tc  0.5000  0.5000  0.5000

---

Here is an optimized crystal structure of LiThIrPb from Alexandria. Energies are from PBE-GGA.

The total DFT energy (no corrections) comes out at -0.2188 hartree per atom.

Unit cell a=4.9111 b=4.9111 c=4.9111 alpha=60.00 beta=60.00 gamma=60.00
Atoms (fractional coordinates):
Li  0.0000  0.0000  0.0000
Th  0.7500  0.7500  0.7500
Pb  0.2500  0.2500  0.2500
Ir  0.5000  0.5000  0.5000

---

Here is an optimized crystal structure of LiTlIrPb from Alexandria. Energies are from PBE-GGA.

The total DFT energy (no corrections) comes out at -0.1537 hartree per atom.

Unit cell a=4.8008 b=4.8008 c=4.8008 alpha=60.00 beta=60.00 gamma=60.00
Atoms (fractional coordinates):
Ir  0.0000  0.0000  0.0000
Li  0.5000  0.5000  0.5000
Pb  0.2500  0.2500  0.2500
Tl  0.7500  0.7500  0.7500

---

Here is an optimized crystal structure of LiTmIrPb from Alexandria. Energies are from PBE-GGA.

The total DFT energy (no corrections) comes out at -0.1917 hartree per atom.

Unit cell a=4.7730 b=4.7730 c=4.7730 alpha=60.00 beta=60.00 gamma=60.00
Atoms (fractional coordinates):
Li  0.5000  0.5000  0.5000
Pb  0.7500  0.7500  0.7500
Ir  0.0000  0.0000  0.0000
Tm  0.2500  0.2500  0.2500

---
-- stop --

The role offers a fantastic continuing professional development (CPD) community, which will help you test and develop your skills in a challenging environment whilst making a significant contribution to your local community.

Frequently asked questions

To apply to be a school governor, you must be over 18 and willing to dedicate a proportion of your time (around seven hours a month) to supporting and improving school success. You do not have to be a parent or an education expert to apply as schools need all types of skills within their Governing Board!

Although some schools may desire certain governors to have experience in specific fields of work, there are no set criteria for the role.  Rather, it is important that you are enthusiastic and committed, with a desire to affect positive change. Softer skills like negotiation, collaboration and organisation are vital to the role of a governor to plan the school's strategic direction with other members of the board. More technical capacities, like knowledge of finance or HR, are offered as training opportunities by Governors for Schools, so you can develop your skills as you see fit.

School governors usually attend around six meetings per year, in addition to any background preparation or school visits. A governor’s term is usually around four years.

The College values the time and commitment required of school governors. In addition to the training modules and webinars provided by the national education charity Governors for Schools, any Imperial staff members, students or alumni who are school governors can join the Imperial School Governors Network and receive advice, guidance and support from their peers. 

The College’s HR policy also enables staff to take time off for public duties such as governor roles.

Becoming a school governor gives you the chance to:

Data records that have nothing to do with the text
........
The following is a DFT calculation (GGA-PBE) of a relaxed structure of Li2TaSi.

Cell: 9.735 9.735 9.735 Å, 16.39 16.39 16.39°
Positions (direct):
Li (0.242, 0.242, 0.242)
Li (0.758, 0.758, 0.758)
Ta (0.000, 0.000, 0.000)
Si (0.500, 0.500, 0.500)

Uncorrected formation energy, kJ per mole of atoms: 16
Symmetry: R-3m (166)



The following is a DFT calculation (GGA-PBE) of a relaxed structure of TbDy5Mg3.

Cell: 9.351 9.351 6.929 Å, 90.00 90.00 120.00°
Positions (direct):
Tb (0.000, 0.000, 0.000)
Tb (0.000, 0.000, 0.500)
Dy (0.000, 0.334, 0.250)
Dy (0.000, 0.666, 0.750)
Dy (0.333, 0.667, 0.000)
Dy (0.333, 0.667, 0.500)
Dy (0.334, 0.000, 0.250)
Dy (0.334, 0.334, 0.750)
Dy (0.666, 0.000, 0.750)
Dy (0.666, 0.666, 0.250)
Dy (0.667, 0.333, 0.000)
Dy (0.667, 0.333, 0.500)
Mg (0.000, 0.333, 0.750)
Mg (0.000, 0.667, 0.250)
Mg (0.333, 0.000, 0.750)
Mg (0.333, 0.333, 0.250)
Mg (0.667, 0.000, 0.250)
Mg (0.667, 0.667, 0.750)

Symmetry: P6_3/mcm (193)
ΔH_f (0 K), eV per formula unit: 0.09



Ordered calculated total energy results: -5.11; -3.59; unit eV per atom.

* * * * *

(a)
This record from the Open Quantum Materials Database describes an optimized crystal structure of LiAgPO. The functional is GGA-PBE.

Cell and atoms, written as POSCAR:
```
LiAgPO
1.0
4.075 0.000 0.000
0.000 7.839 0.000
0.000 0.000 3.727
Li Ag P O
2 2 2 2
Cartesian
0.000 0.856 0.000 Li
0.000 6.983 1.863 Li
2.037 1.388 1.857 Ag
2.037 6.451 3.721 Ag
2.037 3.315 3.720 P
2.037 4.524 1.857 P
0.000 1.088 1.859 O
0.000 6.751 3.722 O
```

Calculated values
As for the space-group type: Pmc2_1 (26).

(b)
This record from the Open Quantum Materials Database describes an optimized crystal structure of LiAgPO. The functional is GGA-PBE.

Cell and atoms, written as POSCAR:
```
LiAgPO
1.0
3.983 0.000 0.000
0.000 3.983 0.000
0.000 0.000 6.578
Li Ag P O
2 2 2 2
Cartesian
0.996 0.996 0.709 Li
2.987 2.987 5.869 Li
0.996 2.987 3.289 Ag
2.987 0.996 3.289 Ag
0.996 0.996 4.904 P
2.987 2.987 1.674 P
0.996 2.987 0.000 O
2.987 0.996 0.000 O
```

Calculated values
As for the space-group type: P4/nmm (129).

(c)
This record from the Open Quantum Materials Database describes an optimized crystal structure of LiAgPO. The functional is GGA-PBE.

Cell and atoms, written as POSCAR:
```
LiAgPO
1.0
4.447 0.000 0.000
0.000 4.447 0.000
0.000 0.000 5.172
Li Ag P O
2 2 2 2
Cartesian
1.112 3.335 0.000 Li
3.335 1.112 0.000 Li
1.112 1.112 1.314 Ag
3.335 3.335 3.858 Ag
1.112 1.112 3.811 P
3.335 3.335 1.362 P
1.112 3.335 2.586 O
3.335 1.112 2.586 O
```

Calculated values
As for the space-group type: P4/nmm (129).

What should be chosen as the least stable of them? Choose (c).

(a)
This record from the Open Quantum Materials Database describes an optimized crystal structure of LiAgPO. The functional is GGA-PBE.

Cell and atoms, written as POSCAR:
```
LiAgPO
1.0
3.734 0.000 0.000
0.000 3.734 0.000
0.000 0.000 8.275
Li Ag P O
2 2 2 2
Cartesian
0.933 2.800 0.000 Li
2.800 0.933 0.000 Li
0.933 0.933 1.880 Ag
2.800 2.800 6.395 Ag
........

  • Be part of a fantastic continuing professional development (CPD) community
  • Test and develop your skills in a challenging and rewarding environment and build your confidence
  • Make significant contributions to your local community
  • Support young people’s futures

You can apply to be a school governor on the Governors for Schools website. Governors for Schools work on a skills-based matching system and will put you in contact with the schools most in need of the experiences you bring. They will also provide you with a free 16-week induction pack from The Key for School Governors to help you settle into your new role, and they have several free e-learning modules on their website to introduce you to school governance.

Yes! If you are interested in being part of this network, which is managed by our Outreach team, please complete the registration form so we can keep you informed about upcoming sessions.

This is what our school governors had to say about their experiences

Find out more about the rewarding experience of being a school governor - from school governors themselves.

What's the best thing about being a school governo

2. 3 col video - School Governors

Contact Governors for Schools

For more information on becoming a school governor, please visit the Governors for Schools website or contact William Durham, London Team Leader, by email or phone on 020 7288 9535. He will be happy to discuss the role further with you.

Contact us

For any Imperial-specific questions, please contact school.governors@imperial.ac.uk.